Nature Iraq Exhibit in the UK
Welcome and introduction
Sara Mountain (Korsh Ararat)
Reeds and Lake (Mudhafar Salim)
Mountains Winter snowfall is normal (Korsh Ararat)
Steppe Wide open spaces (Mudhafar Salim)
Poster: Vegetation Zones
Desert Iraq’s most widespread landscape type (Mudhafar Salim)
Marshes Biodiverse and picturesque (Mudhafar Salim)
White-eared Bulbul Pycnonotus leucotis A common and familiar bird and a candidate for the national bird of Iraq (Omar Fadil)
Scarce Swallowtail Iphiclides podalirius Often encountered in spring and summer in the northern hills (Omar Fadil)
Sacred Ibis Theskiornis aethiopicus Iraq has the only breeding colony in the Middle East (Mudhafar Salim)
Golden Jackal Canis aureus A common mammal often hunted and captured for zoos (Omar Fadil)
Wild Boar Sus scrofa Widespread, and frequently damages crops and gardens (Mudhafar Salim)
Goitered Gazelle Gazella subgutturosa A vulnerable mammal that is rare through hunting (Mudhafar Salim)
Poster: Iraq’s Special Birds (photos by Korsh Ararat, Omar Fadil, Maxim Koshkin, Richard Porter and Mudhafar Salim)
Spiny-tailed Lizard Uromastyx aegyptius A widespread resident of the desert (Omar Fadil)
Slender-billed Gulls Croicocephalus genei A breeding species which also winters in numbers over 10,000 (Korsh Ararat)
Little Bittern Ixybrychus minutus A breeding summer visitor in many reedbeds (Omar Fadil)
Cream-coloured Courser Cursorius cursor An uncommon resident in deserts and steppe (Omar Fadil)
Wind Flower Anemone biflora A familiar spring flower in north Iraq (Saman Abdul Rahman Ahmad)
Orchid Cephalanthera kurdica Iraq’s endemic orchid is in bloom from April to June (Saman Abdul Rahman Ahmad)
People and Way of Life
Boat traffic (Omar Fadil)
Making mud bricks (Mudhafar Salim)
Poster: People and Traditional Way of Life (photos by Omar Fadil and Mudhafar Salim)
Building a Mudhief (Mudhafar Salim)
Walking the buffalos (Omar Fadil)
Marbled Ducks en Masse (Mudhafar Salim)
Poster: Conservation (photos by Korsh Ararat, Omar Fadil, Mudhafar Salim)
The next generation (Richard Porter)
An Houbara hunt (Omar Fadil)
Against the mirror (Mudhafar Salim)
Camel and sunset (Mudhafar Salim)
Mountains, sky and water (Korsh Ararat)
Sara Mountain (Korsh Ararat)
Reeds and Lake (Mudhafar Salim)
Mountains Winter snowfall is normal (Korsh Ararat)
Steppe Wide open spaces (Mudhafar Salim)
**Calculated crystals that have nothing to do with the article**
+++
[1]
Density functional theory data (PBE with a Hubbard U) for a relaxed structure of LiFeP2O7.

Excess energy over the best structure of this formula in the dataset: 0.044 eV per atom

Cell lengths 8.4161, 6.9585, 9.3313 Å; angles 68.62, 90.00, 90.00 degrees
Atoms (fractional coordinates):
O 0.6917 0.7494 0.4037
O 0.7438 0.1219 0.2910
O 0.9173 0.5003 0.1455
O 0.1183 0.4781 0.3925
O 0.2562 0.8781 0.7090
O 0.3083 0.2506 0.5963
O 0.2438 0.8781 0.2090
O 0.0975 0.1199 0.8042
O 0.6183 0.5219 0.1075
P 0.2179 0.4729 0.9700
P 0.7630 0.9322 0.7419
Li 0.4241 0.8078 0.0890
P 0.7179 0.5271 0.5300
O 0.4173 0.4997 0.3545
Fe 0.4321 0.6899 0.6928
Fe 0.5679 0.3101 0.3072
O 0.0827 0.4997 0.8545
P 0.2821 0.4729 0.4700
O 0.8083 0.7494 0.9037
O 0.8817 0.5219 0.6075
O 0.7812 0.3663 0.9515
O 0.1917 0.2506 0.0963
O 0.6099 0.9497 0.1249
Fe 0.9321 0.3101 0.8072
O 0.5975 0.8801 0.6958
O 0.5827 0.5003 0.6455
O 0.7188 0.3663 0.4515
P 0.2630 0.0678 0.7581
Li 0.5759 0.1922 0.9110
O 0.8901 0.9497 0.6249
O 0.2188 0.6337 0.0485
O 0.3901 0.0503 0.8751
O 0.1099 0.0503 0.3751
Li 0.0759 0.8078 0.5890
O 0.4025 0.1199 0.3042
O 0.9025 0.8801 0.1958
P 0.7370 0.9322 0.2419
Li 0.9241 0.1922 0.4110
O 0.3817 0.4781 0.8925
O 0.7562 0.1219 0.7910
P 0.2370 0.0678 0.2581
Fe 0.0679 0.6899 0.1928
P 0.7821 0.5271 0.0300
O 0.2812 0.6337 0.5485

[2]
Density functional theory data (PBE with a Hubbard U) for a relaxed structure of LiFe3P6O20.

Cell lengths 8.4223, 8.4223, 12.3271 Å; angles 90.00, 90.00, 104.93 degrees
Atoms (fractional coordinates):
O 0.7263 0.3170 0.0847
Fe 0.2990 0.7010 0.7500
O 0.8457 0.0800 0.0255
Fe 0.2392 0.7608 0.2500
O 0.0550 0.6580 0.7581
O 0.5368 0.7262 0.7304
O 0.9200 0.1543 0.4745
O 0.0024 0.7358 0.2061
O 0.1543 0.9200 0.5255
O 0.7262 0.5368 0.2696
O 0.6580 0.0550 0.2419
P 0.6290 0.9091 0.3164
O 0.1641 0.2130 0.1950
P 0.2642 0.8513 0.9868
O 0.9650 0.6417 0.5586
O 0.9450 0.3420 0.2581
P 0.7358 0.1487 0.4868
P 0.6983 0.8187 0.7783
O 0.8359 0.7870 0.6950
Fe 0.1293 0.1293 0.5000
O 0.7358 0.0024 0.7939
O 0.0800 0.8457 0.9745
O 0.2642 0.9976 0.2939
O 0.2738 0.4632 0.7696
P 0.3710 0.0909 0.8164
P 0.3017 0.1813 0.2783
O 0.3420 0.9450 0.7419
Fe 0.7010 0.2990 0.2500
P 0.1813 0.3017 0.7217
Li 0.5864 0.5864 0.0000
O 0.6812 0.1526 0.6030
O 0.2737 0.6830 0.5847
O 0.3188 0.8474 0.1030
O 0.7411 0.7267 0.1091
O 0.0350 0.3583 0.0586
O 0.2130 0.1641 0.8050
Fe 0.8707 0.8707 0.0000
O 0.1526 0.6812 0.3970
O 0.2733 0.2589 0.3909
O 0.7739 0.4736 0.6979
O 0.3583 0.0350 0.9414
O 0.5264 0.2261 0.8021
Fe 0.7608 0.2392 0.7500
O 0.4736 0.7739 0.3021
O 0.9976 0.2642 0.7061
O 0.2589 0.2733 0.6091
Li 0.4136 0.4136 0.5000
O 0.7870 0.8359 0.3050
P 0.8187 0.6983 0.2217
O 0.3170 0.7263 0.9153
P 0.9091 0.6290 0.6836
P 0.8513 0.2642 0.0132
O 0.4632 0.2738 0.2304
P 0.1487 0.7358 0.5132
P 0.0909 0.3710 0.1836
O 0.6830 0.2737 0.4153
O 0.7267 0.7411 0.8909
O 0.6417 0.9650 0.4414
O 0.8474 0.3188 0.8970
O 0.2261 0.5264 0.1979

[3]
+++
**So much for the calculated crystals**
Poster: Vegetation Zones
Desert Iraq’s most widespread landscape type (Mudhafar Salim)
Marshes Biodiverse and picturesque (Mudhafar Salim)
White-eared Bulbul Pycnonotus leucotis A common and familiar bird and a candidate for the national bird of Iraq (Omar Fadil)
Scarce Swallowtail Iphiclides podalirius Often encountered in spring and summer in the northern hills (Omar Fadil)
Sacred Ibis Theskiornis aethiopicus Iraq has the only breeding colony in the Middle East (Mudhafar Salim)
Golden Jackal Canis aureus A common mammal often hunted and captured for zoos (Omar Fadil)
Wild Boar Sus scrofa Widespread, and frequently damages crops and gardens (Mudhafar Salim)
Goitered Gazelle Gazella subgutturosa A vulnerable mammal that is rare through hunting (Mudhafar Salim)
Poster: Iraq’s Special Birds (photos by Korsh Ararat, Omar Fadil, Maxim Koshkin, Richard Porter and Mudhafar Salim)
Spiny-tailed Lizard Uromastyx aegyptius A widespread resident of the desert (Omar Fadil)
Slender-billed Gulls Croicocephalus genei A breeding species which also winters in numbers over 10,000 (Korsh Ararat)
Little Bittern Ixybrychus minutus A breeding summer visitor in many reedbeds (Omar Fadil)
Cream-coloured Courser Cursorius cursor An uncommon resident in deserts and steppe (Omar Fadil)
Wind Flower Anemone biflora A familiar spring flower in north Iraq (Saman Abdul Rahman Ahmad)
Orchid Cephalanthera kurdica Iraq’s endemic orchid is in bloom from April to June (Saman Abdul Rahman Ahmad)
People and Way of Life
Boat traffic (Omar Fadil)
Making mud bricks (Mudhafar Salim)
Poster: People and Traditional Way of Life (photos by Omar Fadil and Mudhafar Salim)
Building a Mudhief (Mudhafar Salim)
Walking the buffalos (Omar Fadil)
Marbled Ducks en Masse (Mudhafar Salim)
Poster: Conservation (photos by Korsh Ararat, Omar Fadil, Mudhafar Salim)
The next generation (Richard Porter)
An Houbara hunt (Omar Fadil)
Against the mirror (Mudhafar Salim)
Camel and sunset (Mudhafar Salim)
Mountains, sky and water (Korsh Ararat)